-- Listing --
~~~
(1)
Material: URhPb2O8
Method: DFT, GGA-PBE
State: relaxed

Lattice parameters (Å, degrees): 5.158 5.135 6.601 90.00 90.00 91.42
Fractional positions:
1 U 0.000 0.000 0.000
2 Rh 0.000 0.000 0.500
3 Pb 0.500 0.500 0.738
4 Pb 0.500 0.500 0.262
5 O 0.173 0.821 0.247
6 O 0.697 0.703 0.000
7 O 0.827 0.179 0.247
8 O 0.827 0.179 0.753
9 O 0.303 0.297 0.000
10 O 0.173 0.821 0.753
11 O 0.713 0.722 0.500
12 O 0.287 0.278 0.500

Computed properties:
DFT total energy ... -84.00 eV for the cell shown
Space-group type ... P2/m, No. 10
Size of the total moment ... 0.21 Bohr magnetons per cell
Formation energy without anion corrections ... -1.523 eV per atom
ρ ... 8.4 g/cm³

(2)
Material: Cs2HfGeS4
Method: DFT, GGA-PBE
State: relaxed

Lattice parameters (Å, degrees): 6.758 8.000 12.903 83.65 74.82 65.01
Fractional positions:
1 Cs 0.179 0.000 0.642
2 Cs 0.821 0.000 0.358
3 Cs 0.571 0.500 0.858
4 Cs 0.929 0.500 0.142
5 Hf 0.750 0.500 0.500
6 Hf 0.000 0.000 0.000
7 Ge 0.250 0.500 0.500
8 Ge 0.500 0.000 0.000
9 S 0.265 0.818 0.102
10 S 0.186 0.182 0.898
11 S 0.917 0.818 0.898
12 S 0.632 0.182 0.102
13 S 0.485 0.682 0.398
14 S 0.564 0.318 0.602
15 S 0.833 0.682 0.602
16 S 0.118 0.318 0.398

Computed properties:
DFT total energy ... -83.67 eV for the cell shown
Space-group type ... Fddd, No. 70
Size of the total moment ... 0.00 Bohr magnetons per cell
Formation energy without anion corrections ... -1.131 eV per atom
ρ ... 3.5 g/cm³

* * * * *

Record 1
{"formula": "Mg2AlZn2", "functional": "GGA-PBE", "state": "optimized geometry", "cell": [[-1.995, 1.995, 6.247], [1.995, -1.995, 6.247], [1.995, 1.995, -6.247]], "species": ["Mg", "Mg", "Al", "Zn", "Zn"], "frac_coords": [[0.250, 0.750, 0.500], [0.750, 0.250, 0.500], [0.000, 0.000, 0.000], [0.404, 0.404, 0.000], [0.596, 0.596, 0.000]], "space_group": "I4/mmm (139)", "delta_e_f_ev_per_atom": 0.197, "polymorph_energy_ev_per_fu": 1.204, "dos_ef_per_ev_fu": 1.97}

---

Record 2
{"formula": "LaPrTe2O", "functional": "GGA-PBE", "state": "optimized geometry", "cell": [[4.322, 0.000, 0.000], [0.000, 4.322, 0.000], [0.000, 0.000, 16.306]], "species": ["La", "La", "Pr", "Pr", "Te", "Te", "Te", "Te", "O", "O"], "frac_coords": [[0.250, 0.250, 0.069], [0.750, 0.750, 0.931], [0.250, 0.250, 0.635], [0.750, 0.750, 0.365], [0.250, 0.250, 0.417], [0.250, 0.250, 0.817], [0.750, 0.750, 0.183], [0.750, 0.750, 0.583], [0.250, 0.750, 0.000], [0.750, 0.250, 0.000]], "space_group": "P4/nmm (129)", "e_form_raw_ev_per_atom": -2.14, "dos_ef_per_ev_fu": 1.51}

---

Record 3
{"formula": "BaNd2P2N6", "functional": "GGA-PBE", "state": "optimized geometry", "cell": [[6.019, 0.000, 0.000], [-2.023, 5.719, 0.000], [-2.605, -2.317, 5.764]], "species": ["Ba", "Nd", "Nd", "P", "P", "N", "N", "N", "N", "N", "N"], "frac_coords": [[0.000, 0.000, 0.000], [0.379, 0.290, 0.672], [0.621, 0.710, 0.328], [0.291, 0.746, 0.725], [0.709, 0.254, 0.275], [0.091, 0.863, 0.634], [0.318, 0.640, 0.927], [0.481, 0.729, 0.618], [0.519, 0.271, 0.382], [0.682, 0.360, 0.073], [0.909, 0.137, 0.366]], "space_group": "P-1 (2)", "e_form_raw_ev_per_atom": -0.89, "dos_ef_per_ev_fu": 0.00}

---

Record 4
{"formula": "AcTm2Zn3", "functional": "GGA-PBE", "state": "optimized geometry", "cell": [[3.653, 0.000, 0.000], [0.000, 3.653, 0.000], [0.000, 0.000, 10.924]], "species": ["Ac", "Tm", "Tm", "Zn", "Zn", "Zn"], "frac_coords": [[0.000, 0.000, 0.000], [0.000, 0.000, 0.344], [0.000, 0.000, 0.656], [0.500, 0.500, 0.202], [0.500, 0.500, 0.500], [0.500, 0.500, 0.798]], "space_group": "P4/mmm (123)", "delta_e_f_ev_per_atom": -0.284, "dos_ef_per_ev_fu": 6.19}

* * * * *

Entry 1:
# PBE Pm2Tc2C3, optimized geometry
# Formation enthalpy at 0 K: -0.2471 eV/atom
# Total moment: 0.000 μB/atom
data_Pm2Tc2C3
_chemical_formula_sum 'Pm2 Tc2 C3'
_symmetry_space_group_name_H-M 'P 1'
_symmetry_Int_Tables_number 1
_cell_length_a 3.409
_cell_length_b 5.830
_cell_length_c 6.226
_cell_angle_alpha 114.96
_cell_angle_beta 105.89
_cell_angle_gamma 90.00
loop_
_symmetry_equiv_pos_as_xyz
'x,y,z'
~~~
-- Job --
Please write out only the last part of the lines earlier on, starting with the line that has "6.758 8.000".
-- Done --
Lattice parameters (Å, degrees): 6.758 8.000 12.903 83.65 74.82 65.01
Fractional positions:
1 Cs 0.179 0.000 0.642
2 Cs 0.821 0.000 0.358
3 Cs 0.571 0.500 0.858
4 Cs 0.929 0.500 0.142
5 Hf 0.750 0.500 0.500
6 Hf 0.000 0.000 0.000
7 Ge 0.250 0.500 0.500
8 Ge 0.500 0.000 0.000
9 S 0.265 0.818 0.102
10 S 0.186 0.182 0.898
11 S 0.917 0.818 0.898
12 S 0.632 0.182 0.102
13 S 0.485 0.682 0.398
14 S 0.564 0.318 0.602
15 S 0.833 0.682 0.602
16 S 0.118 0.318 0.398

Computed properties:
DFT total energy ... -83.67 eV for the cell shown
Space-group type ... Fddd, No. 70
Size of the total moment ... 0.00 Bohr magnetons per cell
Formation energy without anion corrections ... -1.131 eV per atom
ρ ... 3.5 g/cm³

* * * * *

Record 1
{"formula": "Mg2AlZn2", "functional": "GGA-PBE", "state": "optimized geometry", "cell": [[-1.995, 1.995, 6.247], [1.995, -1.995, 6.247], [1.995, 1.995, -6.247]], "species": ["Mg", "Mg", "Al", "Zn", "Zn"], "frac_coords": [[0.250, 0.750, 0.500], [0.750, 0.250, 0.500], [0.000, 0.000, 0.000], [0.404, 0.404, 0.000], [0.596, 0.596, 0.000]], "space_group": "I4/mmm (139)", "delta_e_f_ev_per_atom": 0.197, "polymorph_energy_ev_per_fu": 1.204, "dos_ef_per_ev_fu": 1.97}

---

Record 2
{"formula": "LaPrTe2O", "functional": "GGA-PBE", "state": "optimized geometry", "cell": [[4.322, 0.000, 0.000], [0.000, 4.322, 0.000], [0.000, 0.000, 16.306]], "species": ["La", "La", "Pr", "Pr", "Te", "Te", "Te", "Te", "O", "O"], "frac_coords": [[0.250, 0.250, 0.069], [0.750, 0.750, 0.931], [0.250, 0.250, 0.635], [0.750, 0.750, 0.365], [0.250, 0.250, 0.417], [0.250, 0.250, 0.817], [0.750, 0.750, 0.183], [0.750, 0.750, 0.583], [0.250, 0.750, 0.000], [0.750, 0.250, 0.000]], "space_group": "P4/nmm (129)", "e_form_raw_ev_per_atom": -2.14, "dos_ef_per_ev_fu": 1.51}

---

Record 3
{"formula": "BaNd2P2N6", "functional": "GGA-PBE", "state": "optimized geometry", "cell": [[6.019, 0.000, 0.000], [-2.023, 5.719, 0.000], [-2.605, -2.317, 5.764]], "species": ["Ba", "Nd", "Nd", "P", "P", "N", "N", "N", "N", "N", "N"], "frac_coords": [[0.000, 0.000, 0.000], [0.379, 0.290, 0.672], [0.621, 0.710, 0.328], [0.291, 0.746, 0.725], [0.709, 0.254, 0.275], [0.091, 0.863, 0.634], [0.318, 0.640, 0.927], [0.481, 0.729, 0.618], [0.519, 0.271, 0.382], [0.682, 0.360, 0.073], [0.909, 0.137, 0.366]], "space_group": "P-1 (2)", "e_form_raw_ev_per_atom": -0.89, "dos_ef_per_ev_fu": 0.00}

---

Record 4
{"formula": "AcTm2Zn3", "functional": "GGA-PBE", "state": "optimized geometry", "cell": [[3.653, 0.000, 0.000], [0.000, 3.653, 0.000], [0.000, 0.000, 10.924]], "species": ["Ac", "Tm", "Tm", "Zn", "Zn", "Zn"], "frac_coords": [[0.000, 0.000, 0.000], [0.000, 0.000, 0.344], [0.000, 0.000, 0.656], [0.500, 0.500, 0.202], [0.500, 0.500, 0.500], [0.500, 0.500, 0.798]], "space_group": "P4/mmm (123)", "delta_e_f_ev_per_atom": -0.284, "dos_ef_per_ev_fu": 6.19}

* * * * *

Entry 1:
# PBE Pm2Tc2C3, optimized geometry
# Formation enthalpy at 0 K: -0.2471 eV/atom
# Total moment: 0.000 μB/atom
data_Pm2Tc2C3
_chemical_formula_sum 'Pm2 Tc2 C3'
_symmetry_space_group_name_H-M 'P 1'
_symmetry_Int_Tables_number 1
_cell_length_a 3.409
_cell_length_b 5.830
_cell_length_c 6.226
_cell_angle_alpha 114.96
_cell_angle_beta 105.89
_cell_angle_gamma 90.00
loop_
_symmetry_equiv_pos_as_xyz
'x,y,z'